Thursday, November 30, 2006

== Calculated molecules from another source follow ==
~~~
(1)
ORCA calculation (ωB97M-V/def2-TZVPD) on C16H31BaF3P2 as an isolated structure at a distorted geometry.

Properties
Total energy   -1635.8562 Eh
Highest occupied orbital energy   -6.91 eV

XYZ file:
```
53
Properties=species:S:1:pos:R:3:lowdin_charge:R:1
P 0.1394 -1.4249 -6.2227 0.865
P 0.1309 1.7592 -6.0235 0.873
C -0.2505 -0.4369 -7.7734 -0.428
C 0.3712 0.9403 -7.7083 -0.435
H -1.3501 -0.4074 -7.8317 0.076
H 0.1627 -1.0101 -8.6134 0.073
H 1.4613 0.9256 -7.8628 0.073
H -0.1105 1.6067 -8.4354 0.070
C -1.5192 2.5257 -6.4195 -0.278
H -1.7491 3.2304 -5.6082 0.040
H -2.2716 1.7208 -6.4450 0.038
H -1.4720 3.0489 -7.3919 0.041
C 1.1870 3.2129 -6.4080 -0.305
H 0.8779 3.7013 -7.3497 0.043
H 2.2124 2.8205 -6.4942 0.035
H 1.1007 3.8988 -5.5591 0.033
C -0.9765 -2.8379 -6.5592 -0.301
H -0.8094 -3.5470 -5.7400 0.033
H -0.7759 -3.2977 -7.5446 0.044
H -1.9958 -2.4204 -6.5154 0.036
C 1.7645 -2.1297 -6.7447 -0.279
H 2.5063 -1.3145 -6.7344 0.037
H 1.6925 -2.5900 -7.7474 0.043
H 2.0276 -2.8787 -5.9848 0.036
Ba 1.6189 0.2663 1.3946 1.592
C 0.4608 1.9469 -2.5477 -0.146
C -0.8768 1.8192 -2.6142 -0.101
C -1.5823 0.7412 -3.3911 -0.244
C -1.8933 -0.6112 -2.6950 -0.178
C -0.8542 -1.6194 -2.3455 -0.129
C 0.4568 -1.5736 -2.5411 -0.117
C 1.0962 -0.4962 -3.3930 -0.285
C 1.4845 0.9084 -2.8608 -0.224
C 0.2342 -1.9234 2.0400 -0.479
H 0.8639 2.7639 -1.9171 0.103
H -1.5012 2.4689 -1.9568 0.119
H -1.1349 0.6379 -4.4076 0.002
H -2.5834 1.1408 -3.6485 0.110
H -2.4353 -0.3474 -1.7650 0.123
H -2.6148 -1.0863 -3.3852 0.114
H -1.2272 -2.4091 -1.6742 0.109
H 1.0906 -2.4063 -2.0846 0.118
H 0.4891 -0.3540 -4.3202 -0.062
H 2.0293 -0.9373 -3.7839 0.099
H 2.1444 0.7825 -1.9712 0.081
H 2.1238 1.2652 -3.6979 0.099
H 0.7969 -2.1614 2.9809 -0.085
H 0.3906 -2.7289 1.2878 -0.092
H -0.8667 -1.8302 2.2204 -0.063
F -0.3847 1.4974 3.8980 -0.073
C -0.2217 1.8270 2.5431 -0.658
F -1.3837 2.4743 2.2176 -0.029
F 0.7151 2.9250 2.6708 -0.166
```



(2)
ORCA calculation (ωB97M-V/def2-TZVPD) on C43H87AlBeBrCaF11GaN2O10PS2 as an isolated structure at a distorted geometry.

Properties
Total energy   -10221.8917 Eh
Highest occupied orbital energy   -5.99 eV

XYZ file:
```
161
Properties=species:S:1:pos:R:3:lowdin_charge:R:1
C 1.5856 4.1304 5.3812 -0.090
O 1.7566 2.8044 5.8916 -0.205
C 0.5418 2.0782 5.8719 -0.251
C 0.7671 0.5675 6.1890 -0.238
C 1.8065 -0.0812 5.1170 -0.274
C 1.0967 -0.0135 3.7289 -0.223
C 1.6123 -1.0429 2.6673 -0.173
C 0.9259 -0.6739 1.2889 -0.180
C -0.5172 -1.2847 1.1385 -0.129
C -1.6186 -0.2236 0.7942 -0.268
C -1.7340 1.0212 1.6239 -0.207
Ga -2.6456 2.3034 0.3139 0.456
C -4.6201 1.7838 0.2983 -0.159
C -5.5587 2.7419 -0.5025 -0.209
C -7.0576 2.5010 -0.0099 -0.323
C -7.3726 0.9881 -0.2683 -0.074
C -7.1979 2.9685 1.4828 -0.157
C -8.1728 2.1104 2.3710 -0.181
C -7.3006 1.2699 3.3429 -0.092
C -6.9032 -0.0301 3.1682 -0.332
C -5.4019 -0.4457 3.2492 -0.066
C -7.9485 -1.1476 2.9261 -0.065
C -2.2349 4.1932 0.9763 -0.165
C -3.4656 5.0572 1.2572 -0.862
O -4.2109 4.9496 2.1579 0.031
~~~


I haven't been able to blog as much as I would like for two reasons. Of course, obviously the first is, Lydia Catherine. She's rearranged our schedules :) Also, Frankie has been finishing up his last work for the semester (he's finished with the difficult stuff as of 5pm tomorrow). He's been spending a lot of time in the library and often takes his computer with him.
Yesterday we took Lydia Catherine to church for the first time! We figured since it was a Wednesday night, there wouldn't be as many people and it would go smoothly (we hoped). I have been so fearful ever since finding out I was pregnant about people holding her. I have a lot of valid concerns (it's flu, RSV and cold season!, I've seen people do unwise things and she's a tiny newborn)! I've probably written this before, but I'll write it again. First, our pediatrician said we should not take her into an 'uncontrolled crowd' for two months. Basically no one should be around her that might hold her without washing their hands. The pediatrician was very upfront about the dangers of sickness and that it comes from germs spread through hand contact. Secondly, I witnessed someone in Frankie's family put her fingers in an infants mouth. (Unwashed fingers with long, nasty fingernails). I also witnessed someone put an infants fingers in their mouth. The last thing is on two separate cases with two different babies I witnessed (among family and a friend) old people holding the babies precariously. Both because they could not see, but the child's head was at an alarming angle. One old woman walked/stumbled with the child.
I cannot deal with this. The thoughts makes me almost hysterical.
Ok, so anyway, I prayed fervently and reminded myself over and over that God loves her more than I do and He is completely sovereign.

Thursday, November 23, 2006


Lydia Catherine is 2 weeks and a day old today (and 2 hour and 14 minutes). This is her first Thanksgiving! Also it's my first Thanksgiving away from home. Because of Frankie's school (he has a big paper due next week), we weren't able to go to SC for Thanksgiving. He actually did say if I really wanted to we could go from Thurs-Saturday. I felt like the long drive and traveling back and forth between families would be too much on Lydia Catherine. I don't want her to have to face swarms of relatives (possibly sick ones!) this early.
Sooo, my turkey is in the oven. I've never cooked a turkey before, much less all the typical sided items that go with Thanksgiving. I'm attempting though. I have turkey, ham (both really small), rice, macaroni and cheese, sweet potatoe casserole, herb potatoes, rolls and an apple pie for dessert. I hope it all turns out good.
I should mention that I think Lydia Catherine has colic. For the third night in a row, she's cried from around 10pm-2am for no apparent reason. I tried the obvious...feeding her, changing her, and even in desperation, gas drops (after calling the pediatrician to make sure it was safe). Nothing works. We tried a vibrating seat, singing, pacing, rocking, humming, etc. She gets calms for a few moments, but the crying doesn't stop until well after midnight. From 2 until 10 or so she sleeps with just a feeding or two between (and a couple of diaper changes). Frankie sang last night until he was almost hoarse. I think he went through every song he knows...from hymns to Christmas carols, to made up songs.
I just hate hearing her cry...especially not knowing what's wrong or how to help her!
One more tidbit, her umbilical cord/stump fell off this morning. Her first milestone.
I hope everyone (anyone) who reads this has a wonderful Thanksgiving.
By the way, to those who prayed for us during the time of pregnancy, labor and delivery, THANK YOU

Saturday, November 18, 2006

What comes next are calculated molecules, not part of the text:
'''
{"formula": "C9H10O2", "method": "ωB97M-V/def2-TZVPD", "symbols": ["C", "C", "O", "C", "C", "C", "C", "O", "H", "H", "H", "H", "H", "H", "C", "C", "C", "H", "H", "H", "H"], "xyz": [[-1.2214, 1.9137, -1.3647], [-2.0012, 0.7040, -0.6417], [-2.9543, 0.0710, -1.0682], [-1.3124, 0.2283, 0.5255], [-0.1828, 0.6132, 1.2300], [-0.1411, -0.1921, 2.3948], [-1.1800, -1.1023, 2.2743], [-1.8379, -0.8232, 1.1850], [-1.2329, 2.6340, -0.5562], [-1.6125, 2.0198, -2.3741], [-0.2981, 1.3731, -1.4663], [0.7046, 1.2375, 1.0158], [0.6266, -0.2447, 3.0906], [-1.5831, -1.9254, 2.7994], [2.2179, -2.1649, -0.0603], [1.6913, -1.6456, -1.1522], [0.9295, -1.1826, -2.0892], [3.2388, -2.6275, 0.0268], [1.4917, -2.1784, 0.7749], [0.7412, -0.1621, -2.1708], [0.7131, -1.8822, -2.9370]], "mulliken_charge": [-1.0258, 0.6147, -0.5797, 0.1138, 0.0323, -0.7977, -0.2618, -0.3290, 0.3957, 0.3052, 0.1554, 0.3575, 0.4766, 0.4775, -0.6569, 0.3768, -0.5826, 0.2509, 0.1943, 0.2452, 0.2375], "e_homo_ev": -9.085, "total_energy_ha": -499.28123, "smiles": "CC(=O)c1ccco1.C=C=C", "e_above_lowest_kcal_mol": 94.5, "gap_ha": 0.34643}

{"formula": "C3H4FI", "method": "ωB97M-V/def2-TZVPD", "symbols": ["C", "C", "I", "C", "F", "H", "H", "H", "H"], "xyz": [[0.5466, -0.2019, 0.2635], [-0.7499, -0.9514, 0.3774], [-0.6589, -2.9528, 1.1064], [-1.9919, -0.5610, -0.1318], [-3.0013, -1.3759, 0.1113], [1.1726, -0.0822, 1.1237], [0.3939, 0.7352, -0.2919], [1.1378, -0.7205, -0.5975], [-2.3381, 0.3740, -0.5300]], "mulliken_charge": [-1.0401, -0.0205, 0.0385, -0.0287, -0.2167, 0.3281, 0.3050, 0.2752, 0.3593], "e_homo_ev": -8.886, "total_energy_ha": -514.21799, "smiles": "C/C(I)=C/F", "e_above_lowest_kcal_mol": 4.1, "gap_ha": 0.34683}

{"formula": "CH2NO3S", "method": "ωB97M-V/def2-TZVPD", "symbols": ["C", "N", "O", "O", "O", "S", "H", "H"], "xyz": [[0.7518, -1.0694, 0.8599], [-0.2432, -0.4163, 1.4138], [1.4336, -1.7193, 1.6206], [0.9384, -1.1200, -0.5004], [-1.1473, 1.7994, -2.3252], [-1.2805, 2.6501, -1.0727], [-0.7256, 0.3486, 0.7662], [0.2728, -0.4730, -0.7621]], "mulliken_charge": [0.6414, -0.6715, -0.7026, -0.4852, -0.3022, 0.2490, 0.0125, 0.2586], "e_homo_ev": [-3.055, -3.067], "total_charge": -1, "total_energy_ha": -717.92598, "e_above_lowest_kcal_mol": 72.4, "gap_ha": [0.14348, 0.14351]}
'''

Saturday, November 18

It's Lydia Catherine's tenth day in the world. She's doing very well. On Wednesday night she started sleeping longer through the night. The first week she woke up every 1-2 hours. Since Wednesday, however, she's been sleeping about 2-4 hours between feedings. She is so precious and beautiful!
I'm a little amazed at how I feel about her. I mean, of course, I was excited at the thought of having a baby and I expected to love her. But I find myself not wanting to leave her in the bassinet when she's asleep, but wanting to hold her instead. Neither me nor Frankie can stand to hear her cry.
Frankie has also surprised me. So far he's been really great. He's changed several diapers (the first time he was pooped on and we got that on camera!). He also gets up almost every time I get up during the night. If I've had her awhile and he's here, he periodically comes and takes her from me. At night he's started (for the last couple of days) wanting her to fall asleep on his chest, then he puts her in the bassinet and tucks her in. It's cute. I think he'll be a great dad.

Friday, November 17, 2006


I hope this works! Here's a link to Shutterfly, where I downloaded lots of pictures from the first week.


My mom left this morning to go back to SC. This is the first time it's been just the three of us: Franke, Lydia Catherine & me.
We had a dr's appointment on Wednesday and Lydai Catherine was doing well. She weighed 7lbs, 10 oz, so she has really gained well. The dr also advised me to keep breast feeding and not ry to introduce her to the bottle for another week at least. She said I could start pumping to freeze milk for the future though.
Last night Lydia Catherine slept more than she ever has. Last week (for about 5 night after coming home) she was up every 1-2 hours to nurse and/or have a diaper change. Last night she slept 3-4 hours between nursing though! It was awesome! She is so pretty and perfect. It's really such a amazing. We are so blessed.
I have not quite figured out how to put pics on here! I do have some on shutterfly, so I'm going to attempt to see if there's a way to link that site on here.

Tuesday, November 14, 2006

Tuesday Nov 14

THE BABY HAS ARRIVED. Lydia Catherine Melton arrived Wednesday, November 8, 2006 at 8:04am, weighing 7 pounds, 2 ounces, and measuring 19 inches.
She is completely healthy and beautiful. :)
Last Monday I went to the OBGYN for an exam and to talk about possibly being induced. I was dilated 1 cm and she scheduled me for an induction on Monday, November 13 (yesterday). We left the dr's office and went to eat Mexican food (my husband and mom wanted to try anything to naturally induce labor). Monday night my stomach cramped all night...I stayed up most of the night on the couch. Tuesday morning by 9am, the 'cramping' seemed pretty regular but not really painful. When my mom got up, she timed the 'cramps/contractions and they were about 6-7 minutes apart for 3 hours. I called the dr and they said for me to just go on to the hospital. We arrived at the hospital around 1 or 2 pm and the Labor and Delivery nurse in the triage examined me. She said I was still 1 cm, and that it was false labor since there was no change in my cervix since Monday. I told her it was different than the false labor I had been experiencing. Her response was, "We'll see you on Monday." We went back to the apartment and I was confident that I was in the early stages of labor. I was also confident that I would not go back to the hospital until I was absolultely certain that I was in labor. The day progressed uneventfully until around 10pm, when the contractions became a little more uncomfortable. By 11pm contractions were every 6 minutes and I knew it was true labor. Frankie was pacing the floors, saying over and over, 'let's wake up your mom.' I refused to let him, but by midnight I changed my mind. I started bleeding some, which prompted me to dress quickly and make my way to the car. My mom and Frankie were nervous and quiet on the way to the hospital. Each contraction had me gripping the seat. We arrived, registered and went up to L&D. In triage, I was 7cm, contractions were every 5 minutes. By the time they got me to a room and on the monitors, I was ready for an epidural. I had considered delivering naturally, but Frankie and my mom both thought I should just get an epidural. The anestheiologist agreed to give a walking epidural, but by the time he arrived in the room, I was 9cm. He asked if I was sure I wanted it at this point since I had labored naturally for so long. I told him I did! Immediately, I was a different person! It was around 5:30, so I had been in labor (that was uncomfortable to painful) for 6 hours. The next two hours were completely comfortable and uncomplicated. My OBGYN came in around 7:30am and I ended up pushing for less than 15 minutes. I tore just a little (1st degree).
God blessed me so much with such a wonderful experience. By the time we were in the room with the baby, I was telling my husband I wasn't opposed to having five kids anymore.
The last few days have been tiring, but I know that's to be expected and it doesn't improve. I've slept about 10 hours since last Wednesday, but I feel fine.
I'll post more later. We have our first pediatrician's appointment tomorrow.

Wednesday, November 01, 2006


October has come and gone and still no baby! I have five or six more days until the due date (one dr said 5th, another said 6th). I PRAY she comes THIS WEEK! I have another dr's appointment on Friday for an ultrasound and exam. All along I've not wanted to be induced, but I'm leaning more that way at this point. I have really begun to feet, ankles, legs, hands, face are all like balloons. My blood pressure has continued to stay at around 110-120/70-80. Praise the Lord for that. Frankie is eager for the baby to arrive, as is my mom. I really would love for the baby to come this week while my mom is still here to help, as well.
Not much else new going on!